┌──
Entry 1:
Computed, not measured: a geometry-optimized Mg17Pb2 structure at the PBE level of DFT.

Formation energy from the elements   0.07 eV/atom

POSCAR file:
```
Mg17Pb2
1.0
5.134 2.964 5.220
-5.134 2.964 5.220
0.000 -5.929 5.220
Mg Pb
17 2
Cartesian
-5.134 0.000 7.829
-1.590 -3.175 5.220
-2.567 1.482 2.610
-3.544 0.210 5.220
0.000 0.000 1.493
-2.554 -1.475 7.672
1.590 -3.175 5.220
-1.954 2.964 5.220
0.000 -2.950 7.987
-2.554 1.475 7.987
2.567 1.482 2.610
2.554 -1.475 7.672
0.000 2.950 7.672
3.544 0.210 5.220
1.954 2.964 5.220
2.554 1.475 7.987
0.000 0.000 14.166
0.000 0.000 4.824
0.000 0.000 10.834
```

Entry 2:
Computed, not measured: a geometry-optimized Mg3Pb2 structure at the PBE level of DFT.

Formation energy from the elements   0.01 eV/atom
ΔE to the lowest computed polymorph   0.05 eV/f.u.

POSCAR file:
```
Mg3Pb2
1.0
-3.989 5.752 2.969
3.989 -5.752 2.969
3.989 5.752 -2.969
Mg Pb
6 4
Cartesian
5.038 1.104 0.000
0.000 0.000 1.484
1.049 4.649 0.000
2.941 1.104 2.969
0.000 0.000 4.453
-1.049 4.649 2.969
2.039 1.836 0.000
2.039 -1.836 2.969
1.951 7.588 0.000
1.951 3.916 2.969
```

Entry 3:
Computed, not measured: a geometry-optimized MgPb structure at the PBE level of DFT.

Formation energy from the elements   -0.03 eV/atom

POSCAR file:
```
MgPb
1.0
1.773 -5.894 0.000
1.773 5.894 0.000
0.000 0.000 5.124
Mg Pb
2 2
Cartesian
1.773 4.921 3.843
1.773 -4.921 1.281
1.773 1.765 3.843
1.773 -1.765 1.281
```

Entry 4:
Computed, not measured: a geometry-optimized MgPb5 structure at the PBE level of DFT.

Formation energy from the elements   0.04 eV/atom
ΔE to the lowest computed polymorph   0.33 eV/f.u.

POSCAR file:
```
MgPb5
1.0
-3.812 3.812 6.412
3.812 -3.812 6.412
3.812 3.812 -6.412
Mg Pb
2 10
Cartesian
0.000 0.000 3.206
0.000 0.000 9.618
0.000 0.000 0.000
4.983 1.171 -1.814
1.171 2.641 -1.814
4.983 1.171 1.814
1.171 2.641 1.814
0.000 0.000 6.412
2.641 1.171 4.598
-1.171 2.641 4.598
2.641 1.171 8.226
-1.171 2.641 8.226
```

Entry 5:
Computed, not measured: a geometry-optimized Mg3Pb4 structure at the PBE level of DFT.

Formation energy from the elements   -0.02 eV/atom
ΔE to the lowest computed polymorph   0.09 eV/f.u.

POSCAR file:
```
Mg3Pb4
1.0
-1.771 1.771 15.364
1.771 -1.771 15.364
1.771 1.771 -15.364
Mg Pb
3 4
Cartesian
0.000 0.000 0.000
0.000 0.000 8.609
0.000 0.000 22.119
0.000 0.000 4.771
0.000 0.000 13.304
0.000 0.000 17.424
0.000 0.000 25.957
```

Entry 6:
Computed, not measured: a geometry-optimized MgPb2 structure at the PBE level of DFT.

Formation energy from the elements   -0.01 eV/atom
ΔE to the lowest computed polymorph   0.06 eV/f.u.

POSCAR file:
```
MgPb2
1.0
6.621 0.000 0.000
0.000 5.123 0.000
0.000 0.000 10.018
Mg Pb
4 8
Cartesian
1.030 1.281 0.944
2.281 3.842 5.953
4.340 1.281 4.065
5.591 3.842 9.074
0.545 1.281 7.729
1.040 1.281 4.294
2.270 3.842 9.303
2.765 3.842 2.720
3.855 1.281 7.298
4.350 1.281 0.715
5.581 3.842 5.724
6.076 3.842 2.289
```

Entry 7:
Computed, not measured: a geometry-optimized Mg2Pb3 structure at the PBE level of DFT.

Formation energy from the elements   -0.01 eV/atom
ΔE to the lowest computed polymorph   0.20 eV/f.u.

POSCAR file:
```
Mg2Pb3
1.0
1.680 0.970 14.387
-1.680 0.970 14.387
0.000 -1.940 14.387
Mg Pb
2 3
Cartesian
0.000 0.000 4.409
0.000 0.000 38.753
0.000 0.000 12.702
0.000 0.000 21.581
0.000 0.000 30.460
```

Entry 8:
Computed, not measured: a geometry-optimized Mg2Pb3 structure at the PBE level of DFT.

Formation energy from the elements   -0.01 eV/atom
ΔE to the lowest computed polymorph   0.17 eV/f.u.

POSCAR file:
```
Mg2Pb3
1.0
5.136 0.000 0.000
-2.568 4.448 0.000
0.000 0.000 6.342
Mg Pb
2 3
Cartesian
0.000 2.965 2.185
2.568 1.483 4.157
0.000 0.000 3.171
0.000 2.965 5.405
2.568 1.483 0.938
```

~~~~~

# 1
# GGA-PBEsol Mg2CrSb, relaxed
# E above lowest polymorph: 0 meV per atom
# Fermi-level density of states: 0.356 states/eV per atom
# Size of the total moment: 3.96 μB/cell
# SG: P4/mmm (123)
data_Mg2CrSb
_cell_length_a 4.2710
_cell_length_b 4.2710
└──

What is needed: start at the top of the contents earlier on and restate each line, ending with the one that has "_cell_length_b 4.2710".

Entry 1:
Computed, not measured: a geometry-optimized Mg17Pb2 structure at the PBE level of DFT.

Formation energy from the elements   0.07 eV/atom

POSCAR file:
```
Mg17Pb2
1.0
5.134 2.964 5.220
-5.134 2.964 5.220
0.000 -5.929 5.220
Mg Pb
17 2
Cartesian
-5.134 0.000 7.829
-1.590 -3.175 5.220
-2.567 1.482 2.610
-3.544 0.210 5.220
0.000 0.000 1.493
-2.554 -1.475 7.672
1.590 -3.175 5.220
-1.954 2.964 5.220
0.000 -2.950 7.987
-2.554 1.475 7.987
2.567 1.482 2.610
2.554 -1.475 7.672
0.000 2.950 7.672
3.544 0.210 5.220
1.954 2.964 5.220
2.554 1.475 7.987
0.000 0.000 14.166
0.000 0.000 4.824
0.000 0.000 10.834
```

Entry 2:
Computed, not measured: a geometry-optimized Mg3Pb2 structure at the PBE level of DFT.

Formation energy from the elements   0.01 eV/atom
ΔE to the lowest computed polymorph   0.05 eV/f.u.

POSCAR file:
```
Mg3Pb2
1.0
-3.989 5.752 2.969
3.989 -5.752 2.969
3.989 5.752 -2.969
Mg Pb
6 4
Cartesian
5.038 1.104 0.000
0.000 0.000 1.484
1.049 4.649 0.000
2.941 1.104 2.969
0.000 0.000 4.453
-1.049 4.649 2.969
2.039 1.836 0.000
2.039 -1.836 2.969
1.951 7.588 0.000
1.951 3.916 2.969
```

Entry 3:
Computed, not measured: a geometry-optimized MgPb structure at the PBE level of DFT.

Formation energy from the elements   -0.03 eV/atom

POSCAR file:
```
MgPb
1.0
1.773 -5.894 0.000
1.773 5.894 0.000
0.000 0.000 5.124
Mg Pb
2 2
Cartesian
1.773 4.921 3.843
1.773 -4.921 1.281
1.773 1.765 3.843
1.773 -1.765 1.281
```

Entry 4:
Computed, not measured: a geometry-optimized MgPb5 structure at the PBE level of DFT.

Formation energy from the elements   0.04 eV/atom
ΔE to the lowest computed polymorph   0.33 eV/f.u.

POSCAR file:
```
MgPb5
1.0
-3.812 3.812 6.412
3.812 -3.812 6.412
3.812 3.812 -6.412
Mg Pb
2 10
Cartesian
0.000 0.000 3.206
0.000 0.000 9.618
0.000 0.000 0.000
4.983 1.171 -1.814
1.171 2.641 -1.814
4.983 1.171 1.814
1.171 2.641 1.814
0.000 0.000 6.412
2.641 1.171 4.598
-1.171 2.641 4.598
2.641 1.171 8.226
-1.171 2.641 8.226
```

Entry 5:
Computed, not measured: a geometry-optimized Mg3Pb4 structure at the PBE level of DFT.

Formation energy from the elements   -0.02 eV/atom
ΔE to the lowest computed polymorph   0.09 eV/f.u.

POSCAR file:
```
Mg3Pb4
1.0
-1.771 1.771 15.364
1.771 -1.771 15.364
1.771 1.771 -15.364
Mg Pb
3 4
Cartesian
0.000 0.000 0.000
0.000 0.000 8.609
0.000 0.000 22.119
0.000 0.000 4.771
0.000 0.000 13.304
0.000 0.000 17.424
0.000 0.000 25.957
```

Entry 6:
Computed, not measured: a geometry-optimized MgPb2 structure at the PBE level of DFT.

Formation energy from the elements   -0.01 eV/atom
ΔE to the lowest computed polymorph   0.06 eV/f.u.

POSCAR file:
```
MgPb2
1.0
6.621 0.000 0.000
0.000 5.123 0.000
0.000 0.000 10.018
Mg Pb
4 8
Cartesian
1.030 1.281 0.944
2.281 3.842 5.953
4.340 1.281 4.065
5.591 3.842 9.074
0.545 1.281 7.729
1.040 1.281 4.294
2.270 3.842 9.303
2.765 3.842 2.720
3.855 1.281 7.298
4.350 1.281 0.715
5.581 3.842 5.724
6.076 3.842 2.289
```

Entry 7:
Computed, not measured: a geometry-optimized Mg2Pb3 structure at the PBE level of DFT.

Formation energy from the elements   -0.01 eV/atom
ΔE to the lowest computed polymorph   0.20 eV/f.u.

POSCAR file:
```
Mg2Pb3
1.0
1.680 0.970 14.387
-1.680 0.970 14.387
0.000 -1.940 14.387
Mg Pb
2 3
Cartesian
0.000 0.000 4.409
0.000 0.000 38.753
0.000 0.000 12.702
0.000 0.000 21.581
0.000 0.000 30.460
```

Entry 8:
Computed, not measured: a geometry-optimized Mg2Pb3 structure at the PBE level of DFT.

Formation energy from the elements   -0.01 eV/atom
ΔE to the lowest computed polymorph   0.17 eV/f.u.

POSCAR file:
```
Mg2Pb3
1.0
5.136 0.000 0.000
-2.568 4.448 0.000
0.000 0.000 6.342
Mg Pb
2 3
Cartesian
0.000 2.965 2.185
2.568 1.483 4.157
0.000 0.000 3.171
0.000 2.965 5.405
2.568 1.483 0.938
```

~~~~~

# 1
# GGA-PBEsol Mg2CrSb, relaxed
# E above lowest polymorph: 0 meV per atom
# Fermi-level density of states: 0.356 states/eV per atom
# Size of the total moment: 3.96 μB/cell
# SG: P4/mmm (123)
data_Mg2CrSb
_cell_length_a 4.2710
_cell_length_b 4.2710